____________
Crystalline K2CuCl4O2 at its relaxed geometry. Source: Materials Project, functional PBE.

Unit cell a=7.121 b=7.121 c=8.335 alpha=90.00 beta=90.00 gamma=90.00
Space group P4_2/mnm (No. 136)
Unique sites:
1 K 0.000 0.500 0.250 x4
2 Cu 0.000 0.000 0.000 x2
3 Cl 0.215 0.215 0.500 x4
4 Cl 0.220 0.220 0.000 x4
5 O 0.000 0.000 0.210 x4

Output
energy	-3.269	eV/atom
polymorph energy (0 for the lowest one)	260.2	meV per atom
M_tot	2.999	μB per formula unit
formation energy from the elements	-0.80	eV per atom
MP2020-corrected energy	-3.4220	eV per atom

~~~~~

1.
VASP calculation (r²SCAN) on crystalline UNiSb2 at its relaxed geometry.

Unit cell a=4.387 b=4.387 c=9.294 alpha=90.00 beta=90.00 gamma=90.00
Positions (direct):
U  0.250  0.250  0.233
U  0.750  0.750  0.767
Ni  0.250  0.750  0.000
Ni  0.750  0.250  0.000
Sb  0.250  0.250  0.856
Sb  0.250  0.750  0.500
Sb  0.750  0.250  0.500
Sb  0.750  0.750  0.144

Summary:
DFT total energy, eV/atom: -36.36
SG: P4/nmm, No. 129

2.
VASP calculation (r²SCAN) on crystalline Mg2SiSe4 at its relaxed geometry.

Unit cell a=13.394 b=7.833 c=6.256 alpha=90.00 beta=90.00 gamma=90.00
Positions (direct):
Mg  0.000  0.000  0.000
Mg  0.000  0.500  0.000
Mg  0.231  0.250  0.496
Mg  0.269  0.750  0.996
Mg  0.500  0.000  0.500
Mg  0.500  0.500  0.500
Mg  0.731  0.250  0.004
Mg  0.769  0.750  0.504
Si  0.089  0.750  0.406
Si  0.411  0.250  0.906
Si  0.589  0.750  0.094
Si  0.911  0.250  0.594
Se  0.067  0.250  0.743
Se  0.092  0.750  0.766
Se  0.168  0.521  0.251
Se  0.168  0.979  0.251
Se  0.332  0.021  0.751
Se  0.332  0.479  0.751
Se  0.408  0.250  0.266
Se  0.433  0.750  0.243
Se  0.567  0.250  0.757
Se  0.592  0.750  0.734
Se  0.668  0.521  0.249
Se  0.668  0.979  0.249
Se  0.832  0.021  0.749
Se  0.832  0.479  0.749
Se  0.908  0.250  0.234
Se  0.933  0.750  0.257

Summary:
DFT total energy, eV/atom: -11.71
SG: Pnma, No. 62

> The lowest DFT total energy belongs to which entry?

UNiSb2

> What is the DFT total energy in the second record?

-11.71 eV/atom

> Which of these has the lowest DFT total energy?

UNiSb2
____________

What is needed: write out the contents above from the first line to the one with "0.757" exactly.

Crystalline K2CuCl4O2 at its relaxed geometry. Source: Materials Project, functional PBE.

Unit cell a=7.121 b=7.121 c=8.335 alpha=90.00 beta=90.00 gamma=90.00
Space group P4_2/mnm (No. 136)
Unique sites:
1 K 0.000 0.500 0.250 x4
2 Cu 0.000 0.000 0.000 x2
3 Cl 0.215 0.215 0.500 x4
4 Cl 0.220 0.220 0.000 x4
5 O 0.000 0.000 0.210 x4

Output
energy	-3.269	eV/atom
polymorph energy (0 for the lowest one)	260.2	meV per atom
M_tot	2.999	μB per formula unit
formation energy from the elements	-0.80	eV per atom
MP2020-corrected energy	-3.4220	eV per atom

~~~~~

1.
VASP calculation (r²SCAN) on crystalline UNiSb2 at its relaxed geometry.

Unit cell a=4.387 b=4.387 c=9.294 alpha=90.00 beta=90.00 gamma=90.00
Positions (direct):
U  0.250  0.250  0.233
U  0.750  0.750  0.767
Ni  0.250  0.750  0.000
Ni  0.750  0.250  0.000
Sb  0.250  0.250  0.856
Sb  0.250  0.750  0.500
Sb  0.750  0.250  0.500
Sb  0.750  0.750  0.144

Summary:
DFT total energy, eV/atom: -36.36
SG: P4/nmm, No. 129

2.
VASP calculation (r²SCAN) on crystalline Mg2SiSe4 at its relaxed geometry.

Unit cell a=13.394 b=7.833 c=6.256 alpha=90.00 beta=90.00 gamma=90.00
Positions (direct):
Mg  0.000  0.000  0.000
Mg  0.000  0.500  0.000
Mg  0.231  0.250  0.496
Mg  0.269  0.750  0.996
Mg  0.500  0.000  0.500
Mg  0.500  0.500  0.500
Mg  0.731  0.250  0.004
Mg  0.769  0.750  0.504
Si  0.089  0.750  0.406
Si  0.411  0.250  0.906
Si  0.589  0.750  0.094
Si  0.911  0.250  0.594
Se  0.067  0.250  0.743
Se  0.092  0.750  0.766
Se  0.168  0.521  0.251
Se  0.168  0.979  0.251
Se  0.332  0.021  0.751
Se  0.332  0.479  0.751
Se  0.408  0.250  0.266
Se  0.433  0.750  0.243
Se  0.567  0.250  0.757